Chereads / Futanari System / Chapter 147 - The Time has Come

Chapter 147 - The Time has Come

My body was sore despite the healing over the night. However, I would have loved to continue to blow off my responsibilities though Alexia made sure that I didn't.

I was now sitting in my office and had just finished some paper signing that reminded me of my old life a lot. I shook myself, though, as I was distracting myself from the two things I had left on hand. I have been practicing with Florine for the last couple of days, and I have made some progress in combat. It was something mild, though, and I still couldn't stand up to Florine at her best. I was just too damn weak.

I sighed again, and I knew I was distracting myself from the last estimates of the gold I had in the treasury here to work with. I looked at the figures, and it was an extraordinary amount. The problem was that the embassy ate into them deeply, which was the cheaper part of it. Christina was correct in one thing, though. Having a Spy ring that could pay for itself would be immense.

I looked at the figures, and Christina was in the hundreds of thousands of gold she asked for to get everything online and running. The total figure was sixty percent of all the profits that I made here in the Demon lands. It was a difficult ask, and I looked at my leftover funds, and if I accepted the funds that Christina said that the Spy ring would need to reach self sustain with the budget that the homeland would offer; I would be leaving the Demon Lands without a copper coin to my name.

I shrugged. I would need to talk to her about this, and I sighed, leaning back in the chair. I would hardily be poor, and I would have income sources. Hell, I want to insist on being at least a shareholder in the companies. But I was also not an idiot to insist on that since people could just look into what I own in the demon lands to learn where the spy ring was. That, coupled with the fact that it would not generate any income for me even if it did, it annoyed me.

'''
[1]
Entry from OMol25: a gas-phase ion, C27H53BrN7OS2Si (charge +1) in a non-equilibrium geometry (ωB97M-V/def2-TZVPD).

Its net charge is +1. The largest force on an atom comes out at 0.088 hartree/bohr. The calculation puts the total energy at -5178.500865 Ha.

CARTESIAN COORDINATES (ANGSTROEM)
1 C 3.866 2.238 -2.610
2 C 3.493 0.832 -3.302
3 C 1.970 0.362 -3.061
4 Br 1.736 -1.633 -3.242
5 N 1.373 0.890 -1.784
6 C 0.228 1.861 -1.974
7 C -1.153 1.131 -2.372
8 C -2.335 2.143 -1.885
9 S -3.999 1.338 -1.815
10 C -5.033 2.215 -0.519
11 S -4.301 3.242 0.615
12 N -6.495 2.093 -0.436
13 C -6.980 0.706 -0.707
14 C -6.185 -0.445 0.100
15 C -7.204 3.081 -1.304
16 C -7.454 4.470 -0.509
17 C 1.816 0.539 -0.566
18 N 2.962 -0.364 -0.453
19 C 2.609 -1.709 0.083
20 C 3.835 -2.689 -0.323
21 C 3.616 -4.139 -0.813
22 C 4.868 -4.976 -1.187
23 C 6.327 -4.460 -1.137
24 C 6.549 -3.001 -0.665
25 C 8.043 -2.386 -0.622
26 C 5.314 -2.158 -0.262
27 N 1.183 1.105 0.615
28 C -0.121 0.479 0.973
29 C -0.076 -0.746 1.994
30 O -1.478 -0.981 2.388
31 Si -1.920 -2.646 2.060
32 C -1.784 -3.067 0.168
33 C -3.759 -3.009 2.524
34 C -0.799 -3.821 3.123
35 C 2.114 1.308 1.758
36 C 1.556 2.437 2.807
37 N 2.805 2.960 3.497
38 N 0.943 3.607 2.138
39 N 0.709 1.859 3.885
40 H 4.406 1.987 -1.626
41 H 4.670 2.721 -3.284
42 H 2.946 2.894 -2.470
43 H 3.732 0.805 -4.432
44 H 4.162 0.017 -2.837
45 H 1.371 0.788 -3.951
46 H 0.136 2.612 -1.124
47 H 0.532 2.478 -2.904
48 H -1.251 1.078 -3.515
49 H -1.273 0.081 -1.945
50 H -2.372 3.042 -2.609
51 H -2.024 2.596 -0.869
52 H -7.020 0.492 -1.841
53 H -8.078 0.636 -0.352
54 H -6.897 -1.261 0.470
55 H -5.415 -0.878 -0.645
56 H -5.614 -0.013 0.994
57 H -8.252 2.715 -1.617
58 H -6.627 3.239 -2.284
59 H -6.586 5.204 -0.626
60 H -8.476 4.943 -0.753
61 H -7.507 4.178 0.605
62 H 3.773 0.062 0.008
63 H 1.640 -2.147 -0.329
64 H 2.512 -1.690 1.232
65 H 2.548 -4.539 -0.887
66 H 4.716 -6.048 -1.569
67 H 7.251 -5.060 -1.426
68 H 8.412 -2.300 0.454
69 H 8.089 -1.330 -1.081
70 H 8.742 -3.065 -1.232
71 H 5.531 -1.085 0.093
72 H -0.812 1.278 1.444
73 H -0.695 0.105 0.042
74 H 0.485 -0.561 2.967
75 H 0.265 -1.745 1.522
76 H -0.702 -2.932 -0.205
77 H -2.056 -4.166 -0.001
78 H -2.491 -2.434 -0.474
79 H -4.473 -2.264 2.010
80 H -4.105 -4.051 2.183
81 H -3.870 -2.865 3.660
82 H -0.276 -3.172 3.916
83 H 0.045 -4.161 2.405
84 H -1.367 -4.706 3.559
85 H 3.076 1.780 1.320
86 H 2.450 0.360 2.299
87 H 3.426 2.149 3.673
88 H 3.348 3.543 2.827
89 H 1.641 4.240 1.732
90 H 0.214 3.350 1.462
91 H -0.012 2.578 4.086
92 H 1.294 1.851 4.744

=====

[2]
Entry from OMol25: a single C5H7N molecule in a non-equilibrium geometry (ωB97M-V/def2-TZVPD).

Its net charge is 0. The largest force on an atom comes out at 0.025 hartree/bohr. As for the SMILES: C=C=NCC=C. The value obtained for the energy relative to the best compared isomer or geometry (same formula, charge and spin) is 334.9 kJ/mol. The calculation puts the total energy at -249.345691 Ha.

CARTESIAN COORDINATES (ANGSTROEM)
'''

I sighed, leaning back, and I stood to stretch. I was gathering too much dust here in this room by myself. I brought myself out of thought and started to pace in the room, trying not to think about it.

I failed, and my mind returned to the growing problems that were stacking upon themselves here in the Demon lands. My gold only helped those problems out and didn't solve them in the least. The biggest problems came towards the representatives, though, and I sighed. I was bringing myself into a whirlwind of second thoughts when they were cut off as I heard a knock on the door with suddenness.

I turned towards the door, and I moved to open it myself. I wasn't about to tell them to open the door when I was already on my feet. As I opened it, I was surprised to see Christina there with her usual non-expression in a black shirt and pants that didn't clash with her silver; They looked like she was out to rob someone or go for some clandestine meeting.

I moved aside and said," Come in sister," I smiled as she came in, and I closed the door behind her.

"I honestly didn't expect you to open the door for me, Ambassador," Christina replied, and I wanted to stifle a sigh. My sister was still keeping her distance despite my best to try and close that bridge a bit more. "Well, that doesn't matter, though. I came because I believe I got some information that I wasn't expecting," Christina continued and had my full attention.

"Oh," I said, and I pointed towards the couches again that seemed to become my favorite places to talk. "Please, I would love even background information at this point," I replied honestly.

"Well, I think one of my operatives in a good place finally got something useful from a Medusa. One of the servants frequents one of the... Interspecies brothels I have gotten into." Christina said with a slight blush. I looked at the rare charming expression on her face before she continued. "What I have learned is that one of the Medusa Representatives has a particular fetish, I believe," Christina said, and I looked more interested. "Well, I am not sure who she is meeting there, but from her screams of pain and joy, my operative heard she is enjoying herself. But she is in complete control of who she is meeting from word of mouth there. I am not sure of who she is meeting or if the rumor is true, but it is something interesting if you wanted to know." Christina finished, and I looked at her.

I leaned back on the couch and listened to her. Although it was interesting information, it also had barely any use other than blackmail. Unless her Mistress sounded like I was telling her to be a fucking pain in my ass, it didn't really matter.

Then I grinned, and I looked at her, "Can your operative get me a meeting with this..." I thought about the right word, "Sexual partner?" I asked her.

"It will take time," Christina said, and I could almost feel her thoughts on it. "I will look into it, though; It is something that the operative didn't even expect to encounter. It was something she stumbled on accidentally, and I have told her only to inquire lightly. I do not want her sticking her neck out. I would rather not lose this operative with her sticking her neck out. She is in a good position with the opening she found to get where she is." Christina finished, and I nodded.

"Well, Without something more coming from this or a meeting with this person, I cannot do anything with this information," I told her, and I contemplated things, "Yeah," I confirmed again, "Sure, this would be embarrassing for the representative, but that is about it. Who cares if the woman is a masochist. There is nothing against that in law, so it would only be embarrassing."

"That is about what I expected, but it is something in the information that comes to background information on who you care about," Christina replied, and I nodded.

"I do appreciate it. It is something I can annoy the medusas about. It is sad that I cant do more than annoy them. I doubt that I can do anything with it, though," I finished, and I leaned back, and I looked at my Silver-haired sister across from me. She was an attractive woman, and I mentally shook my head. "Now, Onto what else you wanted to talk to me about," I stated, and I watched as her expressionless façade broke a little.

"Although I do have something else in mind while I am here," Christina began, "What makes you think that the first piece of useful information I have come up with in the last couple of weeks since I arrived isn't the reason I am here for?" Christina asked, slightly raising her eyebrow.

I made a noise somewhere between a scoff and a snort, and it tingled my throat as the question forced it out of me. "Because I know at least some things about you," I said, "Everything you said tonight could have been summed up in a short memo or message. No, you have other reasons, and they are something you do not want to commit to paper. Spy types like you would not want something like you to want to talk about committed to paper that can be kept."

There was a definite blush now, and Christina looked away. I was surprised but didn't show it at the amount of emotion she was showing. "I have come to some conclusions over the last couple of days while working," Christina said, and she looked at me. Her cheeks were blushing still as she looked at me, "You were correct," She sighed, "Although it is an old message, I have had some of my old contacts talking to me, and it seems that the war is soon going to come into effect. I do not know when but if what you said is true, which I think it is with the Succubus joining you with their backing, you will be in a strong spot." Christina said.

I watched her silently, and I asked, "What information did you specifically get?"

"Our brother Demetri in the Tribes wizard battalion as one of the major leaders is getting promoted, and it seems some of our other siblings are being put in strong spots." Christina said, and her expression turned serious, "It seems that some of our siblings are starting to gather together to make gain accomplishments in the war, and someone is backing them," Christina continued as I frowned, "It seems that someone is backing them and I am not sure what to make of it." Christina confessed, "I am not even sure if it was father or one of the Elders. But it seems the upcoming war will dictate the future on who gains permanently becomes the heir." Christina said with her analysis.

"Well, I know it wasn't mother's faction," I said almost absentmindedly as I thought, "No, it was Father or the Elders. I do not know what they want from it, but almost certainly was them," I continued deep in thought.

It made sense that my other siblings gathered together. The Elders back in the homeland already knew what I had achieved or more like was about to accomplish for the war. If they wanted someone they could control being in my father's position in the Silvermoon tower, they would need to start the prep work before the war was declared. There was also the Gathering of Tribes to convene to start the hostilities, and after that, the gathering of all the tribe's warfighting units. There was so much about to happen all at once.

My mind spun, and I looked at her, "I think you have realized being out here has taken you away from the best place to receive a better placement for the war then," I told her bluntly, and Christina nodded.

"You are correct, and you know it," Christina said, "Your proposition is the best for my ambitions, and frankly, Demetri is not someone I like very much," Christina said, and I could hear a slight tone of contempt with the almost monotone she spoke with.

I raised an eyebrow, and I was about to ask when she stood up, and I could see her expression change. She crossed over to me and looked down at me, "There is one other thing, though," Christina said, and I looked up at her questions all over my face.

"What is that?" I asked, and I was about to guess there was another reason for her being here than she was explaining at this moment. I looked up at her, and her expression still had that faint blush, and it suddenly deepened. The black clothing she wore disappeared, and my mind blanked as I saw my sister naked.

"I don't want to die a virgin," Christina said, "The war is about to come, and although I am in the higher position if I join, that doesn't mean that I will not be in the direct fighting," Christina explained. "I have never been saving myself for anyone in the homeland. I know that I am alone no matter what," Christina continued, "But I don't want to die without a partner ever, and I don't want this getting out. Please take my first time," Christina finished.

I could see the blush on her face, and her white breasts were in my face. Doorknocker twitched with the scent and sight of her. Christina was an attractive woman, but then I remembered something again. She was my fucking Sister.

Christina stepped forward and took a seat on the couch. "Wait," I said, my voice moving while my mind tried to catch up. "We are sisters; I don't think that it is an excellent idea," I replied even as Doorknocker started to harden as Christina pushed herself at me.

"That is coming from someone who has been having sexual intercourse with our mother?" Christina said, and I froze. The smile on her face as she came close to my ear, "She told me about how big you are. You know, mother and I are still close, and I have been in her camp. This round, she told me how much pleasure I could feel from you, and I broke." Christina said, and there was no longer an expressionless face as I turned to her. "I have been holding myself in for decades," Christina continued, and I didn't know who I was looking at.

Where did my sister that was always expressionless, go? I asked myself this as my brain struggled to catch up. My mother told her about our escapades? Why did she tell my sister, and why did my sister, who was always expressionless, turn into a needy woman all of a sudden?

"I want your Doorknocker to burst into my womb and bring me pleasure that I never felt before!" Christina's voice raised slowly directly into my ear, and my mind was at the point of exploding. "Fuck me, Make me your bitch, and I want you to drive me into the corner and make me cum all over your cock. Mother told me, you can do it, and you have done it with her. Please, Sister, Chelsea, fuck me!" Her sudden exclamation ended her rant, and her hand's dove under the loincloth.

Doorknocker started to harden as her fingers went to work while I sat stunned, looking at the needy silver Bunny-kin that was my sister in front of me. My brain felt sluggish, and I was struggling to think as I felt like my brain had fried for the first time in my lives. I did not know what to think, and I stared at my sister, brain struggling to catch up.

My sister, though, wasn't going to let my brain catch up, and I felt her hands push aside the loincloth. Doorknocker sprang free and was already at half-mast from her machinations. "Wow, I know I have been seeing this, but knowing that this Fat cock is about to stuff my pussy is amazing. I have always wondered what it was like," The completely different person that I don't believe I ever met said as she gazed down at Doorknocker.

Then reality snapped back into place for me as my sister straddled my lap, holding Doorknocker in her hand. At this moment, at the moment of truth, I came to a conclusion. It was one that I remembered and one that hurt a lot less than the first time I did it. I barely knew Christina. My sister was who she was, and I never met this side of her. It was something in the past I thought she might be hiding her feelings instead of being detached from them.

It didn't matter at this point, though. My thoughts moved with speed I don't think I ever achieved before, and my hands moved out, and I pulled my sister close to me. I looked into her eyes, and I no longer saw the uncaring façade that she showed the world. No, this was a borderline crazy woman who was lonely as hell. It was almost the impression I had of her before, and I could see the need and even fear of rejection in her eyes. The shyness that she was showing before wasn't a façade. This was a woman that was desperate for attention that needed physical touch and was seeking it out from me.

I brought her lips to mine before I even knew it, and I felt her grip loosen on Doorknocker. The sudden kiss took this woman by surprise as much as her performance took me by surprise. I wasn't sure how much was acting or how much was the real Christina begging for the attention that she now wanted. Hell, I didn't even know if this wasn't just her trying to get something from me later.

It didn't matter as I held her in my embrace, kissing her. She seemed to almost melt into the movement of our tongues and our lips. She brought her body closer to mine, and I felt her breasts press against my collarbone as I looked up to keep the kiss going. My hands let go of her back and moved to her ass as I felt Doorknocker press lightly into her pussy.

I felt the wet pussy that was Christina's crying juices of want down Doorknocker as it slowly dripped down. The passion she attacked me with blew my indecision away, and I no longer cared that she was my sister. I never grew up with her, and damn the results. I couldn't care anymore as Doorknocker was ready for this needy woman who attacked me. My hands landed on both ass cheeks, and I felt through her mouth her distraction. I pushed down before she realized it and her pussy slowly stretched for the first time. I went slow at first, and I heard her moan, and her tongue stopped playing with mine. I opened my eyes to see Christina's widen.

I pushed in slowly, and her head started to back off as I felt myself push past her hymen slowly. Her mouth opened like a fish out of water, and I could see some pain flash in her eyes. There was pleasure mixed, I think, in those depths of her eyes, but at this moment, I was breaking her virginity. I didn't stop pushing into her slowly as her mouth gaped as Christina silently opened and closed her mouth.

I brought a hand up off her ass, stopping myself for a second to push our lips back together. Her lips didn't move, and she was almost unresponsive as our lips rejoined and my tongue played with hers. I was annoyed, and my hand went back down to her ass, and this time, I broke the kiss.

"You fucking started this," I told her, and my hand came down on her ass with a loud slap.

"AHHH!" Christina replied, her cry sounding odd to my ears, and much to the ever-increasing amount of surprises I had tonight, Christina dropped her hips. Christina's head flew up as her pussy gobbled up Doorknocker in haste, and her cry sounded out in the room. "AWW FUCK!" She cried out again.

A tight, almost painful grip hit Doorknocker as I felt her wombs door on the head of Doorknocker. "You want me to fuck your naughty virgin pussy?" I asked her.

"Yes!" Christina screamed, and the completely different woman showed herself to me bare, "Fuck me, Chelsea, Fuck me till I forget that tomorrow exists!" She screamed, and I growled.

My hands began to pull her ass up and down, and pleasure flooded my head as I fucked the tight cunt that wrapped tightly around my cock. The pleasure continued to hit my head repeatedly, and I growled in announcing my pleasure as I took my sister's pussy without thought. I didn't want to think, and her cries sounded like a beast.

"YES!" Christina screamed, "HOW COULD I HAVE NEVER FELT THIS BEFORE?!" The woman above cried out, "HOW COULD I HAVE DENIED MYSELF THIS PLEASURE!" She screamed, and I didn't reply.

What was I supposed to reply as I pushed that ass down on my cock over and over again, pleasure reaching my peak? I didn't make it there first as I heard, "WHAT IS THIS!" She screamed, "WHAT IS THIS FEELING!" She screamed again and again as her pussy spasmed and her body started to shake violently. She began to shake her head as I was almost worried that she had a seizure before she tossed her body back, and her hands fell to my knees, and her pussy sprayed me all over in a giant overwhelming squirt that blasted my abdomen and cock.

Her body shook, and without realizing it, my ejaculation had begun to fill the fertile pussy as her pussy which was already tight, continued to spasm on me. Her body shook like a vibrator, and her mouth gaped open.

I was confused, and pleasure was filling my head. I turned off my brain, though. I needed to as too much came at me, and I no longer cared. Fuck it, I thought.

I picked her up, and I pushed her onto the couch. "Fine, You want me to fuck your virgin cunt? You want to feel pleasure? I will show you pleasure, Bitch!" I roared, and I started to fuck the bunny-kin under me, and I didn't see my sister. I saw a slut begging for Doorknocker, and I thrust my hips into her over and over again.

I didn't think as she screamed out in pleasure. I didn't care when she begged me to stop. She became my cumdump tonight, whoever this woman was before. Fuck whatever the world thought that this slut was before tonight. Now she became a wanting woman that threw her feelings into becoming my cumdump. Maybe that was wrong. Maybe I shouldn't have thought of it that way. I knew that Christina was hurting and seeking out pleasure from me.

=====
[1]
This record from OMol25 describes a structure of composition C38H38AsN7NaO2S3 at a distorted geometry. The level of theory is the ωB97M-V functional and the def2-TZVPD basis.

The geometry in XYZ format:
```
90
Properties=species:S:1:pos:R:3:mulliken_charge:R:1
Na 0.42 1.30 0.20 1.229
S 1.10 1.41 2.79 -0.461
C 2.63 1.54 2.04 0.352
C 3.83 1.41 2.77 -0.880
C 5.04 1.62 2.14 -0.251
C 5.05 1.95 0.78 -0.976
C 3.84 1.98 0.13 -0.354
N 2.66 1.78 0.71 0.046
H 3.77 1.18 3.82 0.432
H 5.97 1.52 2.69 0.349
H 5.98 2.16 0.26 0.411
H 3.80 2.17 -0.94 0.517
O 0.27 0.32 -4.07 -0.786
C 0.33 1.59 -4.51 0.188
C 0.39 1.82 -5.89 -0.763
C 0.48 3.11 -6.38 -0.254
C 0.49 4.19 -5.51 -0.804
C 0.41 3.98 -4.15 -0.253
C 0.33 2.69 -3.62 0.167
C 0.25 2.45 -2.15 0.579
O 0.31 1.23 -1.73 -1.041
N 0.14 3.54 -1.43 -0.296
N -0.03 3.39 -0.09 -0.082
C 0.06 4.46 0.58 -0.150
S 0.42 6.04 -0.19 -0.127
C 0.48 6.95 1.39 -0.556
C -0.51 6.30 2.33 -0.642
S -0.16 4.51 2.32 -0.043
H 0.25 0.41 -3.07 0.502
H 0.38 0.96 -6.55 0.417
H 0.53 3.26 -7.45 0.355
H 0.55 5.20 -5.91 0.393
H 0.40 4.80 -3.45 0.492
H 0.22 7.99 1.17 0.359
H 1.49 6.90 1.78 0.279
H -1.54 6.47 2.00 0.285
H -0.40 6.65 3.36 0.365
C -4.31 -2.56 0.01 -1.212
C -5.49 -1.60 -0.10 0.680
C -5.77 -1.26 -1.57 -1.657
C -5.23 -0.34 0.75 -1.205
N -4.08 0.43 0.31 0.731
C -2.83 0.45 0.80 -0.769
N -2.10 1.22 0.03 0.471
N -2.92 1.69 -0.92 -0.142
N -4.11 1.23 -0.77 -0.937
H -4.50 -3.46 -0.58 0.405
H -4.15 -2.86 1.05 0.358
H -3.39 -2.11 -0.37 0.233
H -6.38 -2.07 0.32 0.374
H -4.89 -0.82 -2.04 0.306
H -6.59 -0.54 -1.65 0.409
H -6.04 -2.16 -2.12 0.477
H -5.04 -0.63 1.78 0.396
H -6.10 0.32 0.71 0.429
H -2.49 -0.06 1.68 0.704
C -0.31 -6.43 -0.77 -0.474
C 0.97 -5.90 -0.83 -0.746
C 1.19 -4.57 -0.51 -0.319
C 0.15 -3.74 -0.10 0.530
C -1.14 -4.28 -0.09 0.245
C -1.37 -5.61 -0.41 -0.735
As 0.38 -1.82 0.40 0.742
C 0.00 -2.09 2.31 0.666
C 0.92 -1.96 3.34 0.115
C 0.52 -2.06 4.67 -0.772
C -0.81 -2.28 4.99 -0.625
C -1.74 -2.42 3.97 -0.764
C -1.33 -2.32 2.65 -0.521
C 2.31 -1.78 0.25 0.894
C 3.19 -2.52 1.04 -0.329
C 4.55 -2.51 0.78 -0.789
C 5.05 -1.79 -0.30 -0.625
C 4.18 -1.09 -1.12 -0.344
C 2.82 -1.07 -0.84 -1.215
H -0.49 -7.47 -1.02 0.353
H 1.80 -6.53 -1.13 0.396
H 2.20 -4.18 -0.58 0.305
H -1.98 -3.66 0.18 -0.348
H -2.38 -6.01 -0.38 0.414
H 1.96 -1.74 3.13 0.287
H 1.25 -1.93 5.46 0.410
H -1.12 -2.32 6.02 0.351
H -2.78 -2.58 4.21 0.410
H -2.07 -2.43 1.86 0.268
H 2.82 -3.13 1.85 0.561
H 5.23 -3.07 1.42 0.413
H 6.11 -1.77 -0.49 0.363
H 4.55 -0.55 -1.97 0.443
H 2.15 -0.50 -1.47 0.392
```

Values from the calculation:
**Relative energy (zero: lowest compared OMol25 entry of this formula, charge and spin)**: 23.42 kcal/mol
**HOMO energy**: -4.02 eV
**Total charge**: -1
**M**: 818.88 g mol⁻¹

***

[2]
This record from OMol25 describes a cluster of 2 separate species, C38H38BF3O5 in total at a distorted geometry. The level of theory is the ωB97M-V functional and the def2-TZVPD basis.

The geometry in XYZ format:
```
85
Properties=species:S:1:pos:R:3:mulliken_charge:R:1
=====

Well, she got it, and as my balls hit her ass, as I thrust into her, she squirted again all over Doorknocker. Whatever she was before. She wasn't that now.